-- Entries --
'''
# 1
This entry pairs a crystal structure of UMnFe2O6 with its computed PXRD pattern. Radiation: copper Kα. Structure: a cell relaxed with PBE+U.
Intensities are scaled so that the largest is 100.

Largest 10 diffraction maxima, in order of falling intensity, 5° ≤ 2θ ≤ 70°:
Position (°2θ)  I (rel.)  (hkl)
30.77  100  1 0 -1
32.81  96  1 -1 0
22.48  81  1 0 1
19.69  73  1 0 0
18.18  49  0 0 1
31.21  48  1 1 2
32.97  46  2 1 1
22.28  43  1 1 0
19.91  38  1 1 1
50.12  35  -1 1 2

Crystal structure
```
data_UMnFe2O6
_cell_length_a 5.434
_cell_length_b 5.453
_cell_length_c 5.757
_cell_angle_alpha 62.67
_cell_angle_beta 62.69
_cell_angle_gamma 60.27
_symmetry_space_group_name_H-M 'P 1'
_symmetry_Int_Tables_number 1
_symmetry_space_group_name_Hall 'P 1'
loop_
_atom_site_label
_atom_site_type_symbol
_atom_site_fract_x
_atom_site_fract_y
_atom_site_fract_z
U1 U 0.000 0.000 0.000
Mn1 Mn 0.505 0.509 0.477
Fe1 Fe 0.295 0.318 0.092
Fe2 Fe 0.797 0.794 0.611
O1 O 0.104 0.391 0.797
O2 O 0.204 0.911 0.274
O3 O 0.393 0.722 0.786
O4 O 0.601 0.218 0.267
O5 O 0.733 0.091 0.780
O6 O 0.898 0.616 0.289
```

# 2
This entry pairs a crystal structure of Mn3V6Fe4O24 with its computed PXRD pattern. Radiation: copper Kα. Structure: a cell relaxed with PBE+U.
Intensities are scaled so that the largest is 100.

Largest 10 diffraction maxima, in order of falling intensity, 5° ≤ 2θ ≤ 70°:
Position (°2θ)  I (rel.)  (hkl)
28.59  100  0 2 1
27.89  71  0 1 -3
26.91  42  2 0 -1
28.52  30  1 -2 2
27.41  25  2 -1 0
54.40  23  -4 1 1
11.67  22  0 1 0
17.75  21  -1 1 1
18.74  20  1 -1 1
55.09  20  1 -3 5

Crystal structure
```
data_Mn3V6Fe4O24
_cell_length_a 6.792
_cell_length_b 8.299
_cell_length_c 9.981
_cell_angle_alpha 105.69
_cell_angle_beta 105.69
_cell_angle_gamma 102.65
_symmetry_space_group_name_H-M 'P -1'
_symmetry_Int_Tables_number 2
_symmetry_space_group_name_Hall '-P 1'
loop_
_atom_site_label
_atom_site_type_symbol
_atom_site_fract_x
_atom_site_fract_y
_atom_site_fract_z
Mn1 Mn 0.000 0.000 0.000
Mn2 Mn 0.285 0.800 0.296
V1 V 0.106 0.595 0.833
V2 V 0.219 0.158 0.768
V3 V 0.398 0.234 0.368
Fe1 Fe 0.045 0.708 0.519
Fe2 Fe 0.379 0.456 0.106
O1 O 0.013 0.217 0.660
O2 O 0.073 0.552 0.643
O3 O 0.129 0.527 0.151
O4 O 0.134 0.806 0.915
O5 O 0.179 0.940 0.685
O6 O 0.214 0.204 0.952
O7 O 0.236 0.291 0.466
O8 O 0.260 0.021 0.238
O9 O 0.334 0.538 0.925
O10 O 0.353 0.757 0.505
O11 O 0.439 0.369 0.267
O12 O 0.470 0.274 0.771
```

# 3
This entry pairs a crystal structure of Mn2VFeO4 with its computed PXRD pattern. Radiation: copper Kα. Structure: a cell relaxed with PBE+U.
Intensities are scaled so that the largest is 100.

Largest 9 diffraction maxima, in order of falling intensity, 5° ≤ 2θ ≤ 70°:
Position (°2θ)  I (rel.)  (hkl)
32.36  100  0 2 2
54.32  29  2 2 4
64.18  23  4 2 2
37.30  15  2 2 0
65.14  11  2 0 6
53.73  8  0 4 0
53.83  8  4 0 0
38.02  7  0 0 4
67.74  5  4 0 4

Crystal structure
```
data_Mn2VFeO4
_cell_length_a 6.812
_cell_length_b 6.824
_cell_length_c 9.468
_cell_angle_alpha 90.00
_cell_angle_beta 90.00
_cell_angle_gamma 90.00
_symmetry_space_group_name_H-M 'F m m 2'
_symmetry_Int_Tables_number 42
_symmetry_space_group_name_Hall 'F 2 -2'
loop_
_atom_site_label
_atom_site_type_symbol
_atom_site_fract_x
_atom_site_fract_y
_atom_site_fract_z
Mn1 Mn 0.250 0.250 0.000
V1 V 0.000 0.000 0.246
Fe1 Fe 0.000 0.000 0.756
O1 O 0.000 0.240 0.131
O2 O 0.238 0.000 0.367
```

# 4
This entry pairs a crystal structure of Mn3ZnFe8O16 with its computed PXRD pattern. Radiation: copper Kα. Structure: a cell relaxed with PBE+U.
Intensities are scaled so that the largest is 100.

Largest 10 diffraction maxima, in order of falling intensity, 5° ≤ 2θ ≤ 70°:
Position (°2θ)  I (rel.)  (hkl)
34.93  100  3 1 1
34.72  51  2 0 -4
61.36  45  6 2 -2
29.56  31  1 1 -3
56.11  27  3 3 1
42.48  20  2 2 2
18.00  19  0 0 2
29.69  15  0 2 0
36.46  14  2 2 -2
55.67  13  4 0 -6

Crystal structure
```
data_Mn3ZnFe8O16
_cell_length_a 10.472
_cell_length_b 6.023
_cell_length_c 10.489
'''

-- Assignment --
Please duplicate the lines further above from the one with "0.250 0.250" to the one with "Mn3ZnFe8O16 with" word for word.

-- Solution --
Mn1 Mn 0.250 0.250 0.000
V1 V 0.000 0.000 0.246
Fe1 Fe 0.000 0.000 0.756
O1 O 0.000 0.240 0.131
O2 O 0.238 0.000 0.367
```

# 4
This entry pairs a crystal structure of Mn3ZnFe8O16 with its computed PXRD pattern. Radiation: copper Kα. Structure: a cell relaxed with PBE+U.